Violation: ordering the eviction of 4 houses, inhabited by 7 families (around 50 people).
Location: Al Khaldiyya – Jerusalem.
Date: August, 2011.
Perpetrators: the so-called Guardian of Absentees Properties (GAP).
The Israeli Occupation GAP threatens to displace 7 families residing in 4 houses. The families have been living in their houses for more than 40 years. They used to pay the lease for the people in charge of the houses, Mohammad abu Mayyala and Shihda Shabana. However, since 2004, they have started paying the lease to the GAP and Hatomim Shtaym colonial society who claim to be the owners.
Since 1988, Hatomim Shtaym refused to be paid as to find an excuse to evict the houses and drive the families out. 3 years earlier, GAP served the inhabitants eviction orders which were sent again in August this year. The dwellers insist that there is no way they are going to evict their houses. They insisted that for 7 years they have been paying the rent through mail on time. The GAP claims that they sent back some of the money but the Palestinians dent their claims.
The entry is interrupted by calculated crystals:
********
The following is a DFT calculation (PBE) of a relaxed Er4ZnPt3 crystal.

## Properties
formation enthalpy at 0 K	-25.1	kcal/mol of atoms
spin magnetization	0.0	μB/f.u.
VASP energy	-5.7966	eV/atom

a = 3.7219 Å, b = 4.4588 Å, c = 10.5921 Å
α = 90.00°, β = 90.00°, γ = 90.00°
Closest atoms and distances in Å follow each position.
Sites, in units of the cell vectors:
Er1 0.5000 0.0000 0.6382  7 Pt 2.95-3.06
Er2 0.5000 0.5000 0.3681  6 Pt 2.94-2.99, 1 Zn 3.08
Er3 0.0000 0.0000 0.1407  3 Pt 2.85-2.96, 4 Zn 2.98
Er4 0.0000 0.5000 0.8535  5 Pt 2.80-3.00, 2 Zn 3.02
Pt1 0.0000 0.0000 0.4095  7 Er 2.85-3.06, 2 Pt 2.93
Pt2 0.0000 0.5000 0.5889  7 Er 2.80-2.99, 2 Pt 2.93
Pt3 0.5000 0.0000 0.9236  2 Zn 2.76, 7 Er 2.96-3.02
Zn1 0.5000 0.5000 0.0775  2 Pt 2.76, 7 Er 2.98-3.08

=====

Compound: TbLuTlSn
Source: the Alexandria database
Functional: PBE
Structure: optimized geometry

Lattice parameters (Å, degrees): 5.327 5.327 5.327 60.00 60.00 60.00
Fractional coordinates of all 4 atoms:
Sn: 0.250 0.250 0.250
Tl: 0.750 0.750 0.750
Tb: 0.000 0.000 0.000
Lu: 0.500 0.500 0.500

=====

Compound: TbLuZnSn
Source: the Alexandria database
Functional: PBE
Structure: optimized geometry

Lattice parameters (Å, degrees): 5.145 5.145 5.145 60.00 60.00 60.00
Fractional coordinates of all 4 atoms:
Sn: 0.250 0.250 0.250
Zn: 0.750 0.750 0.750
Lu: 0.000 0.000 0.000
Tb: 0.500 0.500 0.500

=====

Compound: LuTcSn2
Source: the Alexandria database
Functional: PBE
Structure: optimized geometry

Lattice parameters (Å, degrees): 3.373 3.373 7.396 90.00 90.00 90.00
Fractional coordinates of all 4 atoms:
Tc: 0.500 0.500 0.000
Lu: 0.500 0.500 0.500
Sn: 0.000 0.000 0.208
Sn: 0.000 0.000 0.792

Values from the calculation:
E above lowest polymorph, meV/atom: 0

=====

no.,DFT total energy (Ha/atom)
1,-0.1576
2,-0.1498
3,-0.2172

=====

[1]
! PBE-GGA ScCuC2, optimized geometry; values from VASP
! * E: -6.1873 eV per atom
! * N(E_F): 2.654 states/eV/cell
! * space-group type: Fm-3m
! * energy of formation: 1032 meV/atom
&SYSTEM
  ibrav = 0, nat = 4, ntyp = 3
/
ATOMIC_SPECIES
Sc 44.96 Sc.upf
Cu 63.55 Cu.upf
C 12.01 C.upf
CELL_PARAMETERS angstrom
0.000 2.755 2.755
2.755 0.000 2.755
2.755 2.755 0.000
ATOMIC_POSITIONS crystal
Sc 0.000 0.000 0.000
Cu 0.500 0.500 0.500
C 0.250 0.250 0.250
C 0.750 0.750 0.750

***

[2]
! PBE-GGA Sc2CuC, optimized geometry; values from VASP
! * E: -6.4893 eV per atom
! * N(E_F): 4.679 states/eV/cell
! * space-group type: I-42d
! * energy of formation: 6 meV/atom
&SYSTEM
  ibrav = 0, nat = 8, ntyp = 3
/
ATOMIC_SPECIES
Sc 44.96 Sc.upf
Cu 63.55 Cu.upf
C 12.01 C.upf
CELL_PARAMETERS angstrom
-3.203 3.203 3.361
3.203 -3.203 3.361
3.203 3.203 -3.361
ATOMIC_POSITIONS crystal
Sc 0.058 0.625 0.933
Sc 0.375 0.308 0.433
Sc 0.692 0.125 0.067
Sc 0.875 0.942 0.567
Cu 0.250 0.750 0.500
Cu 0.500 0.500 0.000
C 0.000 0.000 0.000
C 0.750 0.250 0.500

***

[3]
! PBE-GGA Sc2CuC, optimized geometry; values from VASP
! * E: -5.5491 eV per atom
! * N(E_F): 4.408 states/eV/cell
********
Threatened families:
Ahmad Al Hashima, living in a 2-bedroom-house for 40 years.
Hamouda Castero (60), he has been living with his 5-member-family for 40 years in the 2-bedroom-house.
Mohammad As Sidawi: 2 people who have been living in an under construction 40-m2-bedroom. On the second floor, 4 families are living in one big bedroom which is separated by cupboards.
Picture 1: endangered houses
On the other hand, Israeli colonists broke into two houses that were inhabited by Abu Rajab family. Currently, a Jewish family occupies the upper floor while another Israeli lives on the ground floor; it seems that his task is harassing Palestinians and trouble making. There are no permanent residents on the ground floor; they are people with criminal records; members of the so called Shufwa Baneem, which is rehabilitation house that holds within a number of people with criminal records. 28 families have been residing there since 1981.
The Land Research Center Views the Guardian of Absentees Property measures as a total delusion with the sole purpose of serving the activities of Colonial Societies agendas with the sole intention of taking over as much Palestinian Property as possible. Such measures are a reflection of the Israelis overall policy in regard with Jerusalem; a policy that calls for displacing Palestinians and replacing them with ‘Jewish’ inhabitants in an attempt to erase the city’s true identity. The Israelis are brushing aside all the international agreements and conventions; we believe that it is time to remember the UN General Assembly decisions saying that ‘Zionism is a form of racism’.